In complex organisms like mammals to keep all the cellular as well as physiological processes going, communication between cells, tissues and organs is of paramount importance. This communication is achieved because of specific molecules known as hormones. Similar to the mammalian system plants also produce chemical signals to maintain homeostasis between growth, morphogenesis and regulation of metabolic processes. The first idea of such chemical signal molecules in plants originated in the 19th century with German scientist Julian Von Sachs. These chemical messengers in plants are particularly termed Phytohormones. In this article, we will talk about the different naturally occurring plant hormones and their function in plant growth and metabolism.
Generally, about five naturally occurring plant hormones are present in plants which are as follows:
- Auxin
- Gibberellins
- Abscisic acid
- Cytokinin
- Ethylene
Auxin is the very first hormone discovered in plants. The foundation for the discovery of auxins dates back to the 19th century when Charles Darwin and his son Francis Darwin were studying the bending of the coleoptile region of grass (Phalaris canariensis) towards the light a phenomenon popularly known as phototropism. Darwin found that the tip of the coleoptile perceived the light but when covered with foil the coleoptile would not bend. But, the region responsible for the bending of the coleoptile is called growth is located several millimetres below the coleoptile region, hence Darwin concluded that some kind of signal is produced in the tip region which diffuses to the growth zone and causes the bending of the coleoptile. In 1926, Frits Went reported the presence of chemicals responsible for the growth of the coleoptile in the tip of oat Avena sativa coleoptile. Went allowed the chemical to diffuse out in the gelatin blocks. He also observed that when these blocks were placed on the decapacitated coleoptile regions they had the capacity to cause bending in absence of the light source. As the compound had the capability of the elongation of the coleoptile region the compound was named Auxin from the Greek auxin, meaning “to increase” or “to grow.”
All the auxins have indole rings in their structure. Indole-3-acetic acid is the only naturally occurring auxin in plants. Other synthetic analogues include Dicamba,2,4-Dichlorophenoxyacetic acid (2,4-D), 4-Chloroindole-3-acetic acid, Indole-3-butyric acid.
The functions of auxins in plants include cell elongation. Auxins also promote growth in stems and coleoptiles and inhibit growth in roots.

Gibberellins are the second group of plant hormones that are characterized. Gibberellins contain about 125 different types of compounds. Chemically Gibberellins can be termed as a group of tetracyclic diterpenes. Gibberellins are 20 carbon compounds but, in some compounds, the carbon number is reduced to 19 due to the loss of 1 carbon to the lactone ring in metabolism.
The Discovery of the Gibberellins dates back to the year 1926 when Japanese botanist Elichi Kurosawa was investigating ‘bakanae’ popularly known as ‘Foolish seedling disease of rice’ which is caused by fungus Gibberella fujikuroi. The disease caused excessive stem elongation and yellow ribs in leaves. The scientist observed that the excessive elongation of stem and the yellowing of ribs is particularly due to the compound secreted by the fungus infecting tall plants. This compound was given the name Gibberellins. In 1930, the compound was characterized by two scientists Teijiro Yabuta and Takeshi Hayashi. Later on, 125 different Gibberellic acids were characterized, 12 specifics to G. fujikuroi, 100 specific in higher plants and 13 ubiquitous.
Gibberellins are particularly involved in stem elongation in plants. In some cases, they are known to induce flowering. Gibberellins prevent leaf senescence and fruit senescence, because of this property they are actively used in grape plantations. In the malting industry, gibberellins are added in barley, this is because the aleurone layer in barley has amylases and other enzymes which are triggered by gibberellins. This speeds up the malting process. Due to the large commercial applications of the gibberellic acids, they are produced commercially by the process of fermentation.

== Records of crystals, kept here for reference ==
The following is a meta-GGA SCAN calculation of BeIr2Os at its PBEsol-relaxed geometry, from Alexandria.

Computed properties:
The formation energy is -54 meV/atom. The calculation puts the total magnetic moment at 0.000 μB per cell. As for the crystal system: orthorhombic.

The structure in CIF format:
```
data_BeIr2Os
_cell_length_a 5.2926
_cell_length_b 7.4047
_cell_length_c 2.6840
_cell_angle_alpha 90.00
_cell_angle_beta 90.00
_cell_angle_gamma 90.00
_space_group_name_H-M_alt 'C m m m'
_space_group_IT_number 65
_space_group_name_Hall '-C 2 2'
loop_
_atom_site_label
_atom_site_type_symbol
_atom_site_fract_x
_atom_site_fract_y
_atom_site_fract_z
Be1 Be 0.0000 0.0000 0.0000
Ir1 Ir 0.2500 0.2500 0.5000
Os1 Os 0.0000 0.5000 0.0000
```

---

The following is a meta-GGA SCAN calculation of Ca4C5 at its PBEsol-relaxed geometry, from Alexandria.

Computed properties:
The formation energy is 579 meV/atom. The calculation puts the total magnetic moment at 0.515 μB per cell. As for the crystal system: tetragonal.

The structure in CIF format:
```
data_Ca4C5
_cell_length_a 9.8870
_cell_length_b 9.8870
_cell_length_c 2.7340
_cell_angle_alpha 90.00
_cell_angle_beta 90.00
_cell_angle_gamma 90.00
_space_group_name_H-M_alt 'I 4/m m m'
_space_group_IT_number 139
_space_group_name_Hall '-I 4 2'
loop_
_atom_site_label
_atom_site_type_symbol
_atom_site_fract_x
_atom_site_fract_y
_atom_site_fract_z
Ca1 Ca 0.0000 0.2355 0.0000
C1 C 0.0000 0.0000 0.0000
C2 C 0.2288 0.2288 0.5000
```

---

The following is a meta-GGA SCAN calculation of CdTc2Mo at its PBEsol-relaxed geometry, from Alexandria.

Computed properties:
The formation energy is 467 meV/atom. The calculation puts the total magnetic moment at 0.001 μB per cell. As for the crystal system: monoclinic.

The structure in CIF format:
```
data_CdTc2Mo
_cell_length_a 5.6058
_cell_length_b 9.0165
_cell_length_c 2.6691
_cell_angle_alpha 90.00
_cell_angle_beta 114.09
_cell_angle_gamma 90.00
_space_group_name_H-M_alt 'C 1 2/m 1'
_space_group_IT_number 12
loop_
_space_group_symop_operation_xyz
'x,y,z'
'-x,-y,-z'
'-x,y,-z'
'x,-y,z'
'x+1/2,y+1/2,z'
'-x+1/2,-y+1/2,-z'
'-x+1/2,y+1/2,-z'
'x+1/2,-y+1/2,z'
loop_
_atom_site_label
_atom_site_type_symbol
_atom_site_fract_x
_atom_site_fract_y
_atom_site_fract_z
Cd1 Cd 0.0000 0.0000 0.0000
Tc1 Tc 0.2500 0.2500 0.5000
Mo1 Mo 0.0000 0.5000 0.0000
```

---

The following is a meta-GGA SCAN calculation of Sr6Ge5N2 at its PBEsol-relaxed geometry, from Alexandria.

Computed properties:
The calculation puts the total magnetic moment at 0.000 μB per cell. For the uncorrected formation energy, the calculation gives -762 meV/atom. As for the crystal system: orthorhombic.

The structure in CIF format:
```
data_Sr6Ge5N2
_cell_length_a 3.9881
_cell_length_b 17.8302
_cell_length_c 9.0240
_cell_angle_alpha 90.00
_cell_angle_beta 90.00
_cell_angle_gamma 90.00
_space_group_name_H-M_alt 'P m m n'
_space_group_IT_number 59
loop_
_space_group_symop_operation_xyz
'x,y,z'
'-x,-y,-z'
'-x+1/2,-y+1/2,z'
== So much for the records of crystals ==

Abscisic acid (ABA)
Seeds and buds of plants remain in a non-growth condition until environmental factors are favorable for them, this process is known as dormancy. Efforts have been made to understand the process of dormancy. Plant physiologists believed that dormancy is due to the presence of some inhibitory compounds. Many scientists tried to isolate these compounds from dormant seeds and buds. In 1960, labs in the USA reported an Abscission accumulating compound from young cotton fruit and named it Abscisin II. Similarly, labs in the United Kingdom found a compound that accelerated dormancy and named it Dormin II. In 1965, F. Adiccotts labs found that the Dormin II is very similar to Abscisin II and named it Abscisic acid.
In vascular plants, Abscisic acid is a ubiquitous plant hormone. It has been detected in every major plant tissue from root cap to apical bud. ABA is a 15-carbon compound whose structure is very similar to some carotenoid molecules. ABA has two isomers cis and trans depending upon the position of the terminal carboxylic group. All the naturally occurring ABA are in the cis conformation. Due to the presence of asymmetric carbon atoms at the primary position, ABA has S and R enantiomers. S enantiomer is the naturally occurring one. The commercially available product is a racemic mixture of both the S and R enantiomers. Later on, it was found that the main function due to which the hormone got its name i.e., Abscission is due to the ethylene but ABA can induce the production of ethylene. ABA is known to inhibit growth and stomatal opening particularly when the plant is under a stress. ABA also regulates seed dormancy and maturation in plants.

The Discovery of cytokinin was done when scientists were trying to discover a compound responsible for the cell division and proliferation in plants. Van Overbeek (1941) and Caplin and Steward (1948) added raw coconut water in a medium that supported the growth of immature embryos of datura. Later on, in 1974 it was discovered by Letham et al that the compound supporting the growth of embryos from coconut water is Ribosyl zeatin. Miller and Skoog identified 6-furfuryl aminopurine from herring’s sperm DNA, which was found to be a synthetic analogue of ribosyl zeatin. These compounds were later on classified under a common group known as cytokines.
Zeatin is the most abundant naturally occurring cytokine. Typically, a cytokine includes an Adenine molecule along with an isopentyl side chain and N6 amino acid chain. Naturally occurring cytokines include Zeatin, Ribosyl zeatin and N6-(Δ2-Isopentenyl)-adenine (IP) while synthetic analogues include Benzyl adenine, Kinetin and Benzyl amino pentin.
Cytokinin from their discovery have been known to carry out many physiological and developmental processes but control of cell division is the main role of this hormone. Other processes regulated by cytokine include leaf senescence, nutrient mobilization, apical dominance, the formation and activity of shoot apical meristems, floral development, the breaking of bud dormancy, and seed germination. Cytokinin also appear to mediate many aspects of light-regulated development, including chloroplast differentiation, the development of autotrophic metabolism, and leaf and cotyledon expansion.

In 1901, a graduate student from Botanical Institute of St. Petersburg in Russia, Dimitry Neljubov observed that dark-grown pea seedlings showed the symptoms of triple response i.e. reduced stem elongation, increased lateral growth (swelling), and abnormal, horizontal growth. When the same plants were grown in natural conditions the growth was regained normally. Neljubov reported the effect is due to the gas ethylene which is present in the laboratory due to the coal gas. In 1934, R. Gane et al identified ethylene as a natural plant product and owing to its dramatic effect on plants it was classified as a hormone.
Ethylene is produced by all parts of higher plants. Meristematic and nodal regions are the most active regions of ethylene production. It was found that ethylene production increases drastically during fruit ripening, leaf abscission and flower senescence. Stresses are also responsible for the production of ethylene such as high temperatures, low temperatures, drought stress, biotic stresses etc. The pathway of the ethylene production includes methionine as the precursor and ACC (1-aminocyclopropane-1-carboxylic acid) serves as an intermediate.